Contents
____________
(1)
Simulated PXRD pattern of Ho2Tm5Hg for Cu Ka, from DFT lattice parameters and positions (PBE).

Peak list (10 most intense, 2θ from 10° to 80°, in order of rising 2θ)
2θ 29.62, I 24; 2θ 32.76, I 24; 2θ 33.94, I 100; 2θ 44.74, I 16; 2θ 52.53, I 6; 2θ 52.56, I 13; 2θ 59.24, I 20; 2θ 63.32, I 22; 2θ 64.04, I 16; 2θ 71.44, I 4

Crystal structure
```
data_Ho2Tm5Hg
_cell_length_a 5.4672
_cell_length_b 6.9682
_cell_length_c 12.0617
_cell_angle_alpha 90.00
_cell_angle_beta 90.00
_cell_angle_gamma 90.00
_space_group_name_H-M_alt 'A m m 2'
_space_group_IT_number 38
loop_
_space_group_symop_operation_xyz
'x,y,z'
'-x,-y,z'
'-x,y,z'
'x,-y,z'
'x,y+1/2,z+1/2'
'-x,-y+1/2,z+1/2'
'-x,y+1/2,z+1/2'
'x,-y+1/2,z+1/2'
loop_
_atom_site_label
_atom_site_type_symbol
_atom_site_fract_x
_atom_site_fract_y
_atom_site_fract_z
Ho1 Ho 0.0000 0.0000 0.0000
Ho2 Ho 0.5000 0.0000 0.3417
Tm1 Tm 0.0000 0.2435 0.7563
Tm2 Tm 0.5000 0.0000 0.8372
Tm3 Tm 0.5000 0.2464 0.5867
Hg1 Hg 0.0000 0.0000 0.5071
```



(2)
Simulated PXRD pattern of ReSe2Cl12 for Cu Ka, from DFT lattice parameters and positions (PBE).

Peak list (10 most intense, 2θ from 10° to 80°, in order of rising 2θ)
2θ 11.04, I 68; 2θ 16.05, I 49; 2θ 16.19, I 36; 2θ 17.19, I 100; 2θ 22.69, I 40; 2θ 26.46, I 50; 2θ 32.02, I 26; 2θ 32.43, I 51; 2θ 41.90, I 32; 2θ 42.20, I 49

Crystal structure
```
data_ReSe2Cl12
_cell_length_a 11.7526
_cell_length_b 12.7092
_cell_length_c 21.5579
_cell_angle_alpha 90.00
_cell_angle_beta 90.00
_cell_angle_gamma 90.00
_space_group_name_H-M_alt 'F d d 2'
_space_group_IT_number 43
_space_group_name_Hall 'F 2 -2d'
loop_
_atom_site_label
_atom_site_type_symbol
_atom_site_fract_x
_atom_site_fract_y
_atom_site_fract_z
Re1 Re 0.0000 0.0000 0.0000
Se1 Se 0.0079 0.2233 0.5830
Cl1 Cl 0.1141 0.1530 0.0006
Cl2 Cl 0.1144 0.4231 0.5787
Cl3 Cl 0.1147 0.1685 0.5053
Cl4 Cl 0.1183 0.1625 0.6582
Cl5 Cl 0.1188 0.4221 0.4244
Cl6 Cl 0.1199 0.4025 0.0777
```



Repeat the first record exactly.
Simulated PXRD pattern of Ho2Tm5Hg for Cu Ka, from DFT lattice parameters and positions (PBE).

Peak list (10 most intense, 2θ from 10° to 80°, in order of rising 2θ)
2θ 29.62, I 24; 2θ 32.76, I 24; 2θ 33.94, I 100; 2θ 44.74, I 16; 2θ 52.53, I 6; 2θ 52.56, I 13; 2θ 59.24, I 20; 2θ 63.32, I 22; 2θ 64.04, I 16; 2θ 71.44, I 4

Crystal structure
```
data_Ho2Tm5Hg
_cell_length_a 5.4672
_cell_length_b 6.9682
_cell_length_c 12.0617
_cell_angle_alpha 90.00
_cell_angle_beta 90.00
_cell_angle_gamma 90.00
_space_group_name_H-M_alt 'A m m 2'
_space_group_IT_number 38
loop_
_space_group_symop_operation_xyz
'x,y,z'
'-x,-y,z'
'-x,y,z'
'x,-y,z'
'x,y+1/2,z+1/2'
'-x,-y+1/2,z+1/2'
'-x,y+1/2,z+1/2'
'x,-y+1/2,z+1/2'
loop_
_atom_site_label
_atom_site_type_symbol
_atom_site_fract_x
_atom_site_fract_y
_atom_site_fract_z
Ho1 Ho 0.0000 0.0000 0.0000
Ho2 Ho 0.5000 0.0000 0.3417
Tm1 Tm 0.0000 0.2435 0.7563
Tm2 Tm 0.5000 0.0000 0.8372
Tm3 Tm 0.5000 0.2464 0.5867
Hg1 Hg 0.0000 0.0000 0.5071
```

----------

Structure and simulated XRD peak list of AlH12 (DFT lattice parameters and positions (PBE); Cu Ka).
Lines closer than 0.1° are merged.

Cell and atoms:
Lattice parameters (Å, degrees): 9.5664 9.5664 9.5664 90.00 90.00 90.00
Space group Fd-3m (No. 227, origin choice 2)
Inequivalent atoms, fractional coordinates:
Al 0.1250 0.1250 0.1250
H 0.0683 0.3469 0.9031

Top 6 peaks for 10° ≤ 2θ ≤ 90°, by angle:
2θ = 16.05°, d 5.523, rel. 85.5, (1 1 1)
2θ = 26.35°, d 3.382, rel. 100.0, (2 2 0)
2θ = 31.00°, d 2.884, rel. 90.4, (3 1 1)
2θ = 37.61°, d 2.392, rel. 44.4, (4 0 0)
2θ = 41.13°, d 2.195, rel. 60.5, (3 3 1)
2θ = 46.51°, d 1.953, rel. 38.0, (4 2 2)

***

Structure and simulated XRD peak list of Al2H7 (DFT lattice parameters and positions (PBE); Cu Ka).
Lines closer than 0.1° are merged.

Cell and atoms:
```
data_Al2H7
_chemical_formula_sum 'Al2 H7'
_cell_length_a 4.4522
_cell_length_b 4.6093
_cell_length_c 5.2006
_cell_angle_alpha 105.36
_cell_angle_beta 100.21
_cell_angle_gamma 118.45
_space_group_name_H-M_alt 'P -1'
____________
Job
Next, search the lines further up for the word "coordinates" and set down each line that has it.
Here it is
Inequivalent atoms, fractional coordinates: